_Job_
Search the notes below for the word "eV" and echo each line that has it, please.
_Data_
'''
C41H40BF6N5O3 | ωB97M-V with the def2-TZVPD basis set

Properties
DFT total energy = -2709.945399 Ha
E_HOMO = -8.923 eV
gap between HOMO and LUMO = 8.03 eV
charge = 0
structure (SMILES) = NCCCc1nnc(OB(O)O)nn1.Fc1ccccc1.Fc1ccccc1.Fc1ccccc1.Fc1ccccc1.Fc1ccccc1.Fc1ccccc1

Geometry as XYZ:
```
96
C41H40BF6N5O3 ωB97M-V with the def2-TZVPD basis set
N 0.9758 2.0333 -2.0352
C 0.8165 0.5762 -1.8850
C 0.0304 0.2408 -0.6184
C 0.4515 -1.0764 0.0519
C 1.8915 -0.9711 0.4496
N 2.1818 -0.1470 1.4615
N 3.4379 -0.0093 1.8070
C 4.3273 -0.7023 1.1020
O 5.6110 -0.5227 1.4707
B 6.5725 -0.7113 0.4657
O 7.0902 -1.9587 0.1839
O 7.0441 0.3991 -0.1799
N 4.0628 -1.5232 0.1003
N 2.7946 -1.6712 -0.2327
H 1.7310 2.3554 -1.4466
H 1.2384 2.2359 -2.9894
H 1.8034 0.1048 -1.8849
H 0.3154 0.1954 -2.7700
H 0.1437 1.0594 0.0856
H -1.0260 0.1644 -0.8655
H -0.1557 -1.2699 0.9264
H 0.3296 -1.8960 -0.6485
H 6.8573 -2.1734 -0.7212
H 7.9743 0.2691 -0.3661
F -1.3853 2.9083 -0.0515
C -2.0403 4.0459 -0.3457
C -1.8193 4.6377 -1.5732
C -2.4890 5.8154 -1.8703
C -3.3559 6.3835 -0.9450
C -3.5567 5.7708 0.2835
C -2.8971 4.5892 0.5899
H -1.1311 4.1766 -2.2685
H -2.3318 6.2924 -2.8285
H -3.8713 7.3047 -1.1810
H -4.2224 6.2147 1.0103
H -3.0398 4.0934 1.5411
F -2.4438 6.8966 3.1726
C -1.1380 7.2145 3.0328
C -0.3682 6.5077 2.1313
C 0.9718 6.8414 1.9993
C 1.5201 7.8621 2.7639
C 0.7240 8.5561 3.6640
C -0.6189 8.2359 3.8018
H -0.8097 5.7131 1.5499
H 1.5891 6.2999 1.2952
H 2.5664 8.1151 2.6586
H 1.1486 9.3496 4.2640
H -1.2587 8.7665 4.4941
F 7.8804 4.7357 4.8228
C 6.7360 4.0731 4.5464
C 5.5664 4.4799 5.1552
C 4.3934 3.7978 4.8643
C 4.4065 2.7251 3.9831
C 5.5964 2.3331 3.3858
C 6.7740 3.0130 3.6638
H 5.5806 5.3149 5.8428
H 3.4662 4.1072 5.3277
H 3.4921 2.1929 3.7581
H 5.6042 1.4963 2.7033
H 7.7117 2.7302 3.2042
F -1.9493 -0.8568 2.1395
C -2.8110 -1.8824 2.3055
C -3.6561 -2.2136 1.2661
C -4.5361 -3.2720 1.4376
C -4.5628 -3.9731 2.6353
C -3.7035 -3.6175 3.6658
C -2.8144 -2.5652 3.5043
H -3.6217 -1.6490 0.3438
H -5.2029 -3.5485 0.6322
H -5.2530 -4.7955 2.7653
H -3.7247 -4.1602 4.6010
H -2.1317 -2.2743 4.2912
F 0.9080 -1.6007 -4.5193
C 0.0562 -2.6369 -4.3656
C -0.7928 -2.9702 -5.4009
C -1.6668 -4.0335 -5.2248
C -1.6867 -4.7356 -4.0270
C -0.8249 -4.3773 -3.0002
C 0.0600 -3.3223 -3.1692
H -0.7665 -2.4048 -6.3227
H -2.3355 -4.3140 -6.0273
H -2.3709 -5.5602 -3.8959
H -0.8397 -4.9203 -2.0646
H 0.7513 -3.0312 -2.3895
F -1.8068 -7.9393 -3.6616
C -2.9891 -8.5517 -3.8766
C -4.0782 -8.1832 -3.1132
C -5.2939 -8.8112 -3.3418
C -5.4015 -9.7936 -4.3159
C -4.2901 -10.1479 -5.0682
C -3.0709 -9.5225 -4.8537
H -3.9699 -7.4196 -2.3542
H -6.1589 -8.5316 -2.7561
H -6.3506 -10.2824 -4.4883
H -4.3708 -10.9154 -5.8258
H -2.1936 -9.7782 -5.4323
```
'''
_Completed_
E_HOMO = -8.923 eV
gap between HOMO and LUMO = 8.03 eV